Compared with the race- and sex-based demographics of the global HIV population, participants of randomized controlled trials for major antiretrovirals (ARVs) are less likely to be women and people of color.

Publishing their findings in the Journal of Virus Eradication, researchers compared the demographics of participants in Phase III randomized controlled trials of three widely prescribed ARVs, dolutegravir, bictegravir, tenofovir alafenamide (TAF) and doravirine, with those of the global HIV population.

The investigators drew sex-based data on national HIV epidemics from a 2018 Joint United Nations Programme on HIV/AIDS (UNAIDS) report. They looked to national demographics to estimate HIV prevalence based on race. World Bank data provided information about the socioeconomic status of people with HIV. provided demographics on the participants of 10 Phase III trials of dolutegravir (including 7,714 participants), four of bictegravir (2,307 participants), eight of TAF (7,573) and two of doravirine (1,407 participants).

Breaking down the demographics of the global HIV population by race and sex, the study authors found that Black women have the highest prevalence, at 42%, and Black men have the next highest, at 30%. White men make up just 6% of all people with HIV worldwide.

More than 60% of people with HIV live in low- or low-middle-income nations; 68% of these individuals are Black and 23% are Asian.

'''
[1]
Diffraction record for HoPaO. The powder diffractogram is computed, not measured: it uses a crystal structure in Alexandria, relaxed with GGA-PBE and Cu Ka.
No peak broadening, texture or thermal motion is included.

Structural model:
a b c (Å): 3.2643 3.2643 12.3950
angles (deg): 90.00 90.00 120.00
Space group P-6m2 (No. 187)
Unique sites:
Ho 0.0000 0.0000 0.2324 x2
Pa 0.0000 0.0000 0.5000 x1
Pa 0.6667 0.3333 0.0000 x1
O 0.6667 0.3333 0.3588 x2

Largest 10 diffraction maxima, by angle, 2θ = 10–90°:
index  d [Å]  I (rel.)
0 0 4  3.099  70
1 0 0  2.827  75
1 0 1  2.756  71
1 0 2  2.572  39
1 0 3  2.333  100
1 0 4  2.088  58
1 1 0  1.632  42
1 0 7  1.501  33
1 1 4  1.444  46
1 1 8  1.124  18


[2]
Diffraction record for Zr4NbOs5. The powder diffractogram is computed, not measured: it uses a crystal structure in Alexandria, relaxed with GGA-PBE and Cu Ka.
No peak broadening, texture or thermal motion is included.

Structural model:
a b c (Å): 3.2705 3.2705 16.2939
angles (deg): 90.00 90.00 90.00
Space group P4/mmm (No. 123)
Unique sites:
Zr 0.0000 0.0000 0.1010 x2
Zr 0.0000 0.0000 0.3027 x2
Nb 0.0000 0.0000 0.5000 x1
Os 0.5000 0.5000 0.0000 x1
Os 0.5000 0.5000 0.2025 x2
Os 0.5000 0.5000 0.4054 x2

Largest 10 diffraction maxima, by angle, 2θ = 10–90°:
index  d [Å]  I (rel.)
1 0 0  3.271  9
0 0 5  3.259  4
1 1 0  2.310  100
1 1 5  1.886  4
2 0 0  1.635  12
0 0 10  1.629  5
2 1 0  1.462  4
2 1 5  1.334  23
1 1 10  1.332  11
2 0 10  1.154  7


[3]
Diffraction record for PrSm. The powder diffractogram is computed, not measured: it uses a crystal structure in Alexandria, relaxed with GGA-PBE and Cu Ka.
No peak broadening, texture or thermal motion is included.

Structural model:
a b c (Å): 3.6178 18.7987 6.2566
angles (deg): 90.00 90.00 90.00
Space group Imm2 (No. 44)
Unique sites:
Pr 0.0000 0.0000 0.0000 x2
Pr 0.0000 0.1592 0.3344 x4
Sm 0.0000 0.3414 0.3341 x4
Sm 0.0000 0.5000 0.0015 x2

Largest 10 diffraction maxima, by angle, 2θ = 10–90°:
index  d [Å]  I (rel.)
0 6 0  3.132  100
1 2 1  2.970  75
1 4 1  2.606  85
0 6 2  2.215  36
2 0 0  1.808  32
1 10 1  1.612  27
2 6 0  1.566  49
0 4 4  1.485  15
2 6 2  1.401  15
2 12 0  1.184  16


[4]
Diffraction record for Ba2PaBiO6. The powder diffractogram is computed, not measured: it uses a crystal structure in Alexandria, relaxed with GGA-PBE and Cu Ka.
No peak broadening, texture or thermal motion is included.

Structural model:
a b c (Å): 4.5297 4.5297 8.9648
angles (deg): 90.00 90.00 90.00
Space group P4/mmm (No. 123)
Unique sites:
Ba 0.0000 0.0000 0.2232 x2
Pa 0.5000 0.5000 0.5000 x1
Bi 0.5000 0.5000 0.0000 x1
O 0.0000 0.5000 0.0000 x2
O 0.0000 0.5000 0.5000 x2
O 0.5000 0.5000 0.2669 x2

Largest 10 diffraction maxima, by angle, 2θ = 10–90°:
index  d [Å]  I (rel.)
1 0 0  4.530  11
1 1 0  3.203  53
1 0 2  3.186  100
2 0 0  2.265  30
0 0 4  2.241  12
2 1 2  1.846  44
1 1 4  1.836  19
2 0 4  1.593  16
3 1 0  1.432  20
3 2 2  1.210  12


[5]
'''

In contrast, 76% of trial centers studying dolutegravir were in high-income nations, where 5% of the global HIV population lives, and 24% were in upper-middle-income nations. Fifty-one percent of the participants in all the trials analyzed were white men.

Even within upper-middle-income and high-income nations, the demographics of the dolutegravir trials were not representative of the HIV population in those countries. Forty-nine percent of the participants in those trials were white men, compared with 31% of the HIV population in those nations.

Whites were overrepresented by 44% in the combined trials for the four ARVs in comparison with the global HIV population. Black women were underrepresented by 35%.

“Female safety data are insufficient despite drug approval in Europe and USA,” the study authors concluded. “HIV trials should be located in regions representing the global epidemic with no sex-based selection. Trials should aim for at least 50% female and 50% non-white recruitment to properly provide safety information.”

To read the study, click here.